
pull strings 裏から手を回す、コネを利用するIf one cannot afford to study abroad, a Greek university offers poor quality tuition and, unless one's family can pull strings, few opportunities for getting a job afterwards.

margin calls 追加証拠金、追証As prices fall, the value of the collateral used as security for loans declines as well, provoking margin calls. Holders of securities must sell them at distressed prices to meet the minimum cash or capital req…

backardation 逆転現象(直物価格が先物価格を上回ること)When the idea started to be heavily promoted, around 2002, there was a rationale for it. Commodity futures were selling at discounts from cash, and institutions could pick up additiona…

take a page out of book 本をお手本にする、まねるThat would take a page right out of Goldman Sachs' playbook. Last year, the bank raked in $1.5 billion in buyout-related revenue, tops among Wall Street firms. At the same time, its financial…

speak volumes 多くを語る、His facial expression spoke volumes about what he really thought about your opinions. overqualified 必要以上に教育を受けているLike Italy, Japan produces far too many architecture graduates for all to become buildi…

get to the heart of ~ の核心に迫る、入るDo Mark London and Brian Kelly in The Last Forest get to the heart of the problem? Not in my view. Their account is engaging, sometimes entertaining, but overall superficial, a one-eyed vision of a d…

write-down 評価損、(帳簿価格の)切り下げ、減額On October 24th Merrill Lynch reported its first quarterly loss for six years thanks to huge write-downs by the investment bank of $8.4 billion.

have a rude awakening しまったと気付く、ひどい幻滅を感じる、突然不快な事実に気付くSome of the tycoons who backed Mr Putin, thinking he would safeguard the looted wealth of the 1990s, have had a rude awakening.

represent a break from 〜からの脱却を示すMr. Fukuda, sometimes described as a foreign policy dove who has long emphasized the importance of building strong ties with China and the rest of Asia, represents a break from the nationalist Mr. A…

back taxes 未払いの税金、追徴金 Its most controversial provision, which eventually killed it in the House, would have allowed people who had been in the United States illegally for five or more years to become legal residents if they paid …

引き際、引き時 Unlike Mr Abe, Mr Koizumi timed his departure well.見え透いた言い訳をする make a flimsy excuse forTwo days later he stood down on the flimsiest of excuses: that Ichiro Ozawa, leader of the main opposition Democratic Party of…

toothless 骨抜きのEven with cases of blatant discrimination, lawsuits remain rare because of a cultural aversion to litigation. Another big problem has been that the equal opportunity law is essentially toothless. Despite two revisions, th…

drabbing 大敗、完敗IT IS the worst ever electoral drubbing for the Liberal Democratic Party (LDP), and an emphatic rejection of everything Shinzo Abe, prime minister since last September, seems to represent to Japan’s voters. unwell 体調が…

http://www.nybooks.com/articles/20494 Notes on SusanIt is the aspect of Sontag that is most difficult to take: the longing, or the pretense, to be a witness, a melancholic standing in the ruins of history, despite the circumstances of her …

assault weapon 対人殺傷兵器 handgun 拳銃background check 身元調査、身元確認、素行調査、moment of silence 黙祷の時間 In 1994 President Bill Clinton approved a bill banning assault weapons (covering semi-automatic rifles plus high-capacity m…

The IMF has made perhaps the most valiant attempt so far to weigh these competing explanations.

give ~ a run for one's money 〜が手応えを感じるくらい健闘する、〜を相手に善戦するIndian and Chinese firms are now starting to give their rich-world rivals a run for their money. make one's mark 有名になる、名を成す、頭角を現す、成功する、…

- - -
RbSb2TeSe: optimized geometry, PBE.

abc: 6.212 6.212 6.195
angles: 90.00 90.00 90.00
Element x y z (fractional)
Sb (0.000, 0.500, 0.000)
Sb (0.500, 0.000, 0.000)
Te (0.000, 0.000, 0.500)
Se (0.500, 0.500, 0.500)
Rb (0.000, 0.000, 0.000)

N(E_F)	7.3	states/eV/cell
VASP energy	-0.1233	Ry/atom
formation energy without anion corrections	1.49	eV/atom
size of the total moment	1.47	Bohr magnetons per cell
theoretical density	3.72	Mg/m³

TlSiPbO2: optimized geometry, PBE.

abc: 4.258 6.140 4.258
angles: 90.00 90.00 90.00
Element x y z (fractional)
Pb (0.000, 0.500, 0.000)
Tl (0.000, 0.000, 0.000)
Si (0.500, 0.500, 0.500)
O (0.000, 0.000, 0.500)
O (0.500, 0.000, 0.000)

N(E_F)	4.2	states/eV/cell
VASP energy	-0.2753	Ry/atom
formation energy without anion corrections	0.54	eV/atom
size of the total moment	0.33	Bohr magnetons per cell
theoretical density	7.04	Mg/m³

LiNd2Ag2: optimized geometry, PBE.

abc: 6.202 6.390 7.987
angles: 113.58 112.85 90.00
Element x y z (fractional)
Li (0.750, 0.500, 0.000)
Li (0.250, 0.500, 0.000)
Nd (0.853, 0.679, 0.706)
Nd (0.147, 0.321, 0.294)
Nd (0.647, 0.973, 0.294)
Nd (0.353, 0.027, 0.706)
Ag (0.375, 0.564, 0.750)
Ag (0.625, 0.436, 0.250)
Ag (0.125, 0.814, 0.250)
Ag (0.875, 0.186, 0.750)

N(E_F)	10.4	states/eV/cell
VASP energy	-0.2563	Ry/atom
size of the total moment	0.00	Bohr magnetons per cell
theoretical density	6.46	Mg/m³

La2Cu12Ni3Ge: optimized geometry, PBE.

abc: 7.591 7.591 7.591
angles: 63.91 63.91 63.91
Element x y z (fractional)
La (0.611, 0.611, 0.611)
La (0.389, 0.389, 0.389)
Cu (0.343, 0.343, 0.016)
Cu (0.877, 0.877, 0.353)
Cu (0.353, 0.877, 0.877)
Cu (0.016, 0.343, 0.343)
Cu (0.877, 0.353, 0.877)
Cu (0.343, 0.016, 0.343)
Cu (0.657, 0.657, 0.984)
Cu (0.123, 0.123, 0.647)
Cu (0.647, 0.123, 0.123)
Cu (0.984, 0.657, 0.657)
Cu (0.123, 0.647, 0.123)
Cu (0.657, 0.984, 0.657)
Ni (0.500, 0.000, 0.000)
Ni (0.000, 0.500, 0.000)
Ni (0.000, 0.000, 0.500)
Ge (0.000, 0.000, 0.000)

N(E_F)	12.3	states/eV/cell
VASP energy	-0.3038	Ry/atom
size of the total moment	0.00	Bohr magnetons per cell
theoretical density	6.37	Mg/m³

Dy4NiRu: optimized geometry, PBE.

abc: 6.769 6.769 7.935
angles: 115.25 115.25 90.00
Element x y z (fractional)
Dy (0.446, 0.946, 0.258)
Dy (0.946, 0.812, 0.258)
Dy (0.312, 0.446, 0.258)
Dy (0.688, 0.554, 0.742)
Dy (0.054, 0.188, 0.742)
Dy (0.554, 0.054, 0.742)
Dy (0.188, 0.688, 0.742)
Dy (0.812, 0.312, 0.258)
Ni (0.500, 0.500, 0.000)
Ni (0.000, 0.000, 0.000)
Ru (0.250, 0.250, 0.500)
Ru (0.750, 0.750, 0.500)

N(E_F)	11.1	states/eV/cell
VASP energy	-0.4287	Ry/atom
size of the total moment	0.00	Bohr magnetons per cell
theoretical density	9.27	Mg/m³

Ho2SnPb: optimized geometry, PBE.

abc: 3.499 3.499 8.837
angles: 90.00 90.00 90.00
Element x y z (fractional)
Pb (0.500, 0.500, 0.500)
Ho (0.000, 0.000, 0.758)
Ho (0.000, 0.000, 0.242)
Sn (0.500, 0.500, 0.000)

N(E_F)	3.4	states/eV/cell
VASP energy	-0.3477	Ry/atom
size of the total moment	0.00	Bohr magnetons per cell
theoretical density	10.07	Mg/m³
- - -
The data records stop here:

business-as-usual 旧態依然Slowly, however, they lost patience with what they saw as the government's loose ethics and plodding, business-as-usual approach to the urgent challenges of national development.rout 大敗させる、完勝するIn mid-Jul…

be smitten with 〜に夢中になる They were, Prunier writes, "quite smitten with the Tutsi," finding them a "superior race" of people who were "meant to reign," possessed "a refinement of feelings which is rare among primitive people," and ha…

glaring 目立つ、目に付く、派手なThe notion of an infinitely elastic internet encyclopedia, always up to date and distilling the collective wisdom of the wired is even more tempting. When open to all comers, anonymously, the problems are ev…

fait accompli 既成事実Some Chinese policymakers believe that if confronted with a fait accompli, America would lack the heart for a fight to liberate Taiwan.

to the untutored eye 素人目には、知識のない人にとっては To the untutored ear, the verbal salvoes lobbed across the Taiwan Strait since the weekend might appear to carry with them an alarming rise in tensions over nearly the last bit of unf…

For much of last year the yen slid, but there has recently been a brisk appreciation. A dollar bought over 121 yen on February 23rd, but now buys around 116.

unswervingly 道をそれずに、確固としてWe must free our minds, follow a realistic and practical approach, keep pace with the times, work hard with a pioneering and innovative spirit, unswervingly take the road of Chinese socialism, adhere to…

doomsayer 悲観論者overhang of inventory 過剰在庫 overhang of stocks 余剰在庫

instant bestseller たちまちベストセラーに

Altough we are certain you are anxiously awaiting to receive your product, if you would kindly wait a little longer, we will notify you by email as soon as we find out the date of delivery.商品到着を心待ちにされておりますところ、誠に申し訳…

safety of his leafy perch 安全な高みから(人を見下す)How dare you, Thompson suggested from the safety of his leafy perch in middle England, betray us by letting your inconvenient experiences in Communist Poland obstruct the view of our com…

thrusut into When you were thrust into this position [in 1991] just after the Cold War ended, you were in a place to experiment with all our ideas about theory and action and how they go together. What have you learned in these eight years…

a sense of incongruity 違和感rugged independense 無骨な